Record 1
Entry from Alexandria via LeMat-Bulk: a relaxed TaMnTe2 crystal (PBE).

E_form (uncorrected) = 0.134 eV per atom
Symmetry = P2/m, No. 10

Cell: 3.457 3.448 6.874 Å, 90.00 90.08 90.00°
Positions (direct):
Ta: 0.000 0.000 0.000
Mn: 0.000 0.000 0.500
Te: 0.500 0.500 0.242
Te: 0.500 0.500 0.758

Record 2
Entry from Alexandria via LeMat-Bulk: a relaxed TaMn2Te crystal (PBE).

E_form (uncorrected) = 0.363 eV per atom
Symmetry = R-3m, No. 166

Cell: 8.226 8.226 8.226 Å, 22.46 22.46 22.46°
Positions (direct):
Ta: 0.000 0.000 0.000
Mn: 0.255 0.255 0.255
Mn: 0.745 0.745 0.745
Te: 0.500 0.500 0.500

Record 3
Entry from Alexandria via LeMat-Bulk: a relaxed TaMnTe2 crystal (PBE).

E_form (uncorrected) = 0.749 eV per atom
Symmetry = I-42d, No. 122

Cell: 7.163 7.163 7.163 Å, 129.06 129.06 74.92°
Positions (direct):
Ta: 0.000 0.000 0.000
Ta: 0.750 0.250 0.500
Mn: 0.250 0.750 0.500
Mn: 0.500 0.500 0.000
Te: 0.157 0.625 0.032
Te: 0.375 0.407 0.532
Te: 0.593 0.125 0.968
Te: 0.875 0.843 0.468

Record 4
Entry from Alexandria via LeMat-Bulk: a relaxed TaMn2Te crystal (PBE).

E_form (uncorrected) = 0.222 eV per atom
Symmetry = P4mm, No. 99

Cell: 3.389 3.389 5.817 Å, 90.00 90.00 90.00°
Positions (direct):
Ta: 0.000 0.000 0.000
Mn: 0.000 0.000 0.556
Mn: 0.500 0.500 0.782
Te: 0.500 0.500 0.301

Record 5
Entry from Alexandria via LeMat-Bulk: a relaxed TaTi2Mn2 crystal (PBE).

Energy of formation from the pure elements = -0.209 eV/atom
Symmetry = Cmcm, No. 63
Excess energy over the best structure of this formula in the dataset = 0.000 eV per atom

Cell: 10.875 10.875 4.385 Å, 90.00 90.00 163.93°
Positions (direct):
Ta: 0.143 0.857 0.750
Ta: 0.857 0.143 0.250
Ti: 0.047 0.953 0.250
Ti: 0.238 0.762 0.250
Ti: 0.762 0.238 0.750
Ti: 0.953 0.047 0.750
Mn: 0.353 0.647 0.750
Mn: 0.452 0.548 0.250
Mn: 0.548 0.452 0.750
Mn: 0.647 0.353 0.250

Record 6
Entry from Alexandria via LeMat-Bulk: a relaxed TaTi2Mn crystal (PBE).

Energy of formation from the pure elements = 0.343 eV/atom
Symmetry = I-42d, No. 122
Excess energy over the best structure of this formula in the dataset = 0.447 eV per atom

Cell: 5.612 5.612 5.612 Å, 102.94 102.94 123.52°
Positions (direct):
Ta: 0.000 0.000 0.000
Ta: 0.750 0.250 0.500
Ti: 0.172 0.625 0.047
Ti: 0.375 0.422 0.547
Ti: 0.578 0.125 0.953
Ti: 0.875 0.828 0.453
Mn: 0.250 0.750 0.500
Mn: 0.500 0.500 0.000

Record 7
Entry from Alexandria via LeMat-Bulk: a relaxed TaTi2Mn crystal (PBE).

Energy of formation from the pure elements = -0.104 eV/atom
Symmetry = P4/mmm, No. 123
Excess energy over the best structure of this formula in the dataset = 0.000 eV per atom

Cell: 2.995 2.995 6.895 Å, 90.00 90.00 90.00°
Positions (direct):
Ta: 0.000 0.000 0.000
Ti: 0.500 0.500 0.292
Ti: 0.500 0.500 0.708
Mn: 0.000 0.000 0.500

Record 8
Entry from Alexandria via LeMat-Bulk: a relaxed Ta3TiMn2 crystal (PBE).

Energy of formation from the pure elements = -0.145 eV/atom
Symmetry = P4/mmm, No. 123

Cell: 3.080 3.080 9.734 Å, 90.00 90.00 90.00°
Positions (direct):
Ta: 0.000 0.000 0.000
Ta: 0.000 0.000 0.312
Ta: 0.000 0.000 0.688
Ti: 0.500 0.500 0.500
Mn: 0.500 0.500 0.157
Mn: 0.500 0.500 0.843

Q: What is the formula in the first record?
A: TaMnTe2

----------

VASP calculation (GGA-PBEsol) on an optimized crystal structure of NaBi5O8. Values from VASP.

Structure (Quantum ESPRESSO input):
```
&SYSTEM
  ibrav = 0, nat = 28, ntyp = 3
/
ATOMIC_SPECIES
Na 22.99 Na.upf
Bi 208.98 Bi.upf
O 16.00 O.upf
CELL_PARAMETERS angstrom
7.220 0.000 0.000
1.372 7.140 0.000
3.067 2.967 9.398
ATOMIC_POSITIONS crystal
Na 0.238 0.398 0.454
Na 0.762 0.602 0.546
Bi 0.028 0.820 0.223
Bi 0.034 0.374 0.182
Bi 0.255 0.896 0.461
Bi 0.390 0.264 0.848
Bi 0.436 0.733 0.863
Bi 0.564 0.267 0.137
Bi 0.610 0.736 0.152
Bi 0.745 0.104 0.539
Bi 0.966 0.626 0.818
Bi 0.972 0.180 0.777
O 0.010 0.474 0.660
O 0.021 0.095 0.583
O 0.055 0.330 0.941
O 0.298 0.138 0.721
O 0.309 0.174 0.310
O 0.324 0.474 0.072
O 0.324 0.731 0.306
O 0.360 0.578 0.747
O 0.640 0.422 0.253
O 0.676 0.269 0.694

Could you echo the whole of the data above unchanged?

Record 1
Entry from Alexandria via LeMat-Bulk: a relaxed TaMnTe2 crystal (PBE).

E_form (uncorrected) = 0.134 eV per atom
Symmetry = P2/m, No. 10

Cell: 3.457 3.448 6.874 Å, 90.00 90.08 90.00°
Positions (direct):
Ta: 0.000 0.000 0.000
Mn: 0.000 0.000 0.500
Te: 0.500 0.500 0.242
Te: 0.500 0.500 0.758

Record 2
Entry from Alexandria via LeMat-Bulk: a relaxed TaMn2Te crystal (PBE).

E_form (uncorrected) = 0.363 eV per atom
Symmetry = R-3m, No. 166

Cell: 8.226 8.226 8.226 Å, 22.46 22.46 22.46°
Positions (direct):
Ta: 0.000 0.000 0.000
Mn: 0.255 0.255 0.255
Mn: 0.745 0.745 0.745
Te: 0.500 0.500 0.500

Record 3
Entry from Alexandria via LeMat-Bulk: a relaxed TaMnTe2 crystal (PBE).

E_form (uncorrected) = 0.749 eV per atom
Symmetry = I-42d, No. 122

Cell: 7.163 7.163 7.163 Å, 129.06 129.06 74.92°
Positions (direct):
Ta: 0.000 0.000 0.000
Ta: 0.750 0.250 0.500
Mn: 0.250 0.750 0.500
Mn: 0.500 0.500 0.000
Te: 0.157 0.625 0.032
Te: 0.375 0.407 0.532
Te: 0.593 0.125 0.968
Te: 0.875 0.843 0.468

Record 4
Entry from Alexandria via LeMat-Bulk: a relaxed TaMn2Te crystal (PBE).

E_form (uncorrected) = 0.222 eV per atom
Symmetry = P4mm, No. 99

Cell: 3.389 3.389 5.817 Å, 90.00 90.00 90.00°
Positions (direct):
Ta: 0.000 0.000 0.000
Mn: 0.000 0.000 0.556
Mn: 0.500 0.500 0.782
Te: 0.500 0.500 0.301

Record 5
Entry from Alexandria via LeMat-Bulk: a relaxed TaTi2Mn2 crystal (PBE).

Energy of formation from the pure elements = -0.209 eV/atom
Symmetry = Cmcm, No. 63
Excess energy over the best structure of this formula in the dataset = 0.000 eV per atom

Cell: 10.875 10.875 4.385 Å, 90.00 90.00 163.93°
Positions (direct):
Ta: 0.143 0.857 0.750
Ta: 0.857 0.143 0.250
Ti: 0.047 0.953 0.250
Ti: 0.238 0.762 0.250
Ti: 0.762 0.238 0.750
Ti: 0.953 0.047 0.750
Mn: 0.353 0.647 0.750
Mn: 0.452 0.548 0.250
Mn: 0.548 0.452 0.750
Mn: 0.647 0.353 0.250

Record 6
Entry from Alexandria via LeMat-Bulk: a relaxed TaTi2Mn crystal (PBE).

Energy of formation from the pure elements = 0.343 eV/atom
Symmetry = I-42d, No. 122
Excess energy over the best structure of this formula in the dataset = 0.447 eV per atom

Cell: 5.612 5.612 5.612 Å, 102.94 102.94 123.52°
Positions (direct):
Ta: 0.000 0.000 0.000
Ta: 0.750 0.250 0.500
Ti: 0.172 0.625 0.047
Ti: 0.375 0.422 0.547
Ti: 0.578 0.125 0.953
Ti: 0.875 0.828 0.453
Mn: 0.250 0.750 0.500
Mn: 0.500 0.500 0.000

Record 7
Entry from Alexandria via LeMat-Bulk: a relaxed TaTi2Mn crystal (PBE).

Energy of formation from the pure elements = -0.104 eV/atom
Symmetry = P4/mmm, No. 123
Excess energy over the best structure of this formula in the dataset = 0.000 eV per atom

Cell: 2.995 2.995 6.895 Å, 90.00 90.00 90.00°
Positions (direct):
Ta: 0.000 0.000 0.000
Ti: 0.500 0.500 0.292
Ti: 0.500 0.500 0.708
Mn: 0.000 0.000 0.500

Record 8
Entry from Alexandria via LeMat-Bulk: a relaxed Ta3TiMn2 crystal (PBE).

Energy of formation from the pure elements = -0.145 eV/atom
Symmetry = P4/mmm, No. 123

Cell: 3.080 3.080 9.734 Å, 90.00 90.00 90.00°
Positions (direct):
Ta: 0.000 0.000 0.000
Ta: 0.000 0.000 0.312
Ta: 0.000 0.000 0.688
Ti: 0.500 0.500 0.500
Mn: 0.500 0.500 0.157
Mn: 0.500 0.500 0.843

Q: What is the formula in the first record?
A: TaMnTe2

----------

VASP calculation (GGA-PBEsol) on an optimized crystal structure of NaBi5O8. Values from VASP.

Structure (Quantum ESPRESSO input):
```
&SYSTEM
  ibrav = 0, nat = 28, ntyp = 3
/
ATOMIC_SPECIES
Na 22.99 Na.upf
Bi 208.98 Bi.upf
O 16.00 O.upf
CELL_PARAMETERS angstrom
7.220 0.000 0.000
1.372 7.140 0.000
3.067 2.967 9.398
ATOMIC_POSITIONS crystal
Na 0.238 0.398 0.454
Na 0.762 0.602 0.546
Bi 0.028 0.820 0.223
Bi 0.034 0.374 0.182
Bi 0.255 0.896 0.461
Bi 0.390 0.264 0.848
Bi 0.436 0.733 0.863
Bi 0.564 0.267 0.137
Bi 0.610 0.736 0.152
Bi 0.745 0.104 0.539
Bi 0.966 0.626 0.818
Bi 0.972 0.180 0.777
O 0.010 0.474 0.660
O 0.021 0.095 0.583
O 0.055 0.330 0.941
O 0.298 0.138 0.721
O 0.309 0.174 0.310
O 0.324 0.474 0.072
O 0.324 0.731 0.306
O 0.360 0.578 0.747
O 0.640 0.422 0.253
O 0.676 0.269 0.694